Wooster Gaming Club

and the rest of John's Assmonkey Puppets

Published by Bubbles on 11/30/2006 03:40:00 PM

What comes next are data records, not part of the entry >
A plane-wave DFT calculation with PBE was carried out for a relaxed structure of Mg2Pd8Au3.

Unit cell a=10.2794 b=10.2794 c=10.2794 alpha=29.22 beta=29.22 gamma=29.22
Last column: nearest neighbours and their distance in Å.
Fractional positions:
Mg1 0.1385 0.1385 0.1385  4 Pd 2.50-2.63
Mg2 0.8615 0.8615 0.8615  4 Pd 2.50-2.63
Pd1 0.2233 0.2233 0.2233  1 Mg 2.50, 1 Au 2.75
Pd2 0.2325 0.2325 0.7308  4 Pd 2.58-2.60, 1 Mg 2.63, 1 Au 2.84
Pd3 0.2325 0.7308 0.2325  4 Pd 2.58-2.60, 1 Mg 2.63, 1 Au 2.84
Pd4 0.2692 0.7675 0.7675  4 Pd 2.58-2.60, 1 Mg 2.63, 1 Au 2.84
Pd5 0.7308 0.2325 0.2325  4 Pd 2.58-2.60, 1 Mg 2.63, 1 Au 2.84
Pd6 0.7675 0.2692 0.7675  4 Pd 2.58-2.60, 1 Mg 2.63, 1 Au 2.84
Pd7 0.7675 0.7675 0.2692  4 Pd 2.58-2.60, 1 Mg 2.63, 1 Au 2.84
Pd8 0.7767 0.7767 0.7767  1 Mg 2.50, 1 Au 2.75
Au1 0.3165 0.3165 0.3165  10 Pd 2.75-2.96
Au2 0.5000 0.5000 0.5000  6 Mg 3.11, 12 Pd 3.34-3.43
Au3 0.6835 0.6835 0.6835  10 Pd 2.75-2.96

ΔE_f = -0.069 eV per atom
space group = R-3m, No. 166

----------

Record 1
# PaGaP2Ru5

An optimized crystal structure of PaGaP2Ru5 (PBE, the Alexandria database).

Calculated values
DFT total energy ... -74.55 eV/cell
DOS(E_F) ... 7.0 states/eV per cell

Cell lengths 4.1153, 4.1153, 8.0654 Å; angles 90.00, 90.00, 90.00 degrees
Space group P4/mmm (No. 123)
Inequivalent atoms, fractional coordinates:
Pa (0.0000, 0.0000, 0.0000) [1 per cell]
Ga (0.0000, 0.0000, 0.5000) [1 per cell]
P (0.5000, 0.5000, 0.1440) [2 per cell]
Ru (0.0000, 0.5000, 0.2825) [4 per cell]
Ru (0.5000, 0.5000, 0.5000) [1 per cell]

=====

Record 2
# Pa4GaP3Ru12

An optimized crystal structure of Pa4GaP3Ru12 (PBE, the Alexandria database).

Calculated values
DFT total energy ... -345.73 eV/cell
DOS(E_F) ... 28.4 states/eV per cell

Cell lengths 8.8764, 8.8764, 8.8764 Å; angles 90.00, 90.00, 90.00 degrees
Space group Im-3m (No. 229)
Inequivalent atoms, fractional coordinates:
Pa (0.2500, 0.2500, 0.2500) [8 per cell]
Ga (0.0000, 0.0000, 0.0000) [2 per cell]
P (0.0000, 0.0000, 0.5000) [6 per cell]
Ru (0.0000, 0.0000, 0.2594) [12 per cell]
Ru (0.0000, 0.2500, 0.5000) [12 per cell]

=====

Record 3
# Pa4GaPSe2

An optimized crystal structure of Pa4GaPSe2 (PBE, the Alexandria database).

Calculated values
DFT total energy ... -60.99 eV/cell
Uncorrected formation energy ... -950 meV/atom
DOS(E_F) ... 11.1 states/eV per cell

Cell lengths 6.9746, 4.1308, 7.0582 Å; angles 90.00, 110.23, 90.00 degrees
Space group P2/m (No. 10)
Inequivalent atoms, fractional coordinates:
Pa (0.2364, 0.0000, 0.2370) [2 per cell]
Pa (0.2420, 0.5000, 0.7557) [2 per cell]
Ga (0.0000, 0.0000, 0.5000) [1 per cell]
P (0.0000, 0.5000, 0.0000) [1 per cell]
Se (0.5000, 0.0000, 0.0000) [1 per cell]
Se (0.5000, 0.5000, 0.5000) [1 per cell]

=====

Record 4
# GaP3Pb

An optimized crystal structure of GaP3Pb (PBE, the Alexandria database).

Calculated values
DFT total energy ... -19.66 eV/cell
DOS(E_F) ... 4.8 states/eV per cell

Yeah I remember you talking about it one day so I figured I should post it. I've always meant to check it out but never have.

Published by John on 11/30/2006 03:01:00 PM

Jumping Jesus on a Pogo Stick! That is my favorite comic ever! If they screw this up I swear to god I'll track them down and kick them in the nuts........

So have you guys read Preacher? The whole series is available in a collection of Graphic Novels. It is a really good read.

Published by Bubbles on 11/30/2006 02:30:00 PM

Oh John did you know about this?

Published by Bubbles on 11/30/2006 02:11:00 PM

That seems like its going to be all kinds of fucked up.

Published by John on 11/30/2006 01:59:00 PM

So cool story for you guys. I've started a movie review blog where I review the horror films that I've watched. I've gotten some feedback (including hate mail from a director that I was not very nice to!). But something happened that I hadn't expected. The director of a short 15 minute movie contacted me and asked if he could send me a screener of his film. Yes someone actually read my blog and thought to themselves "I want this idiot to see my movie". Go figure. So anyways the movie is called Night of the Hell Hamsters.


So anyone want to watch it with me :)

Published by John on 11/27/2006 09:33:00 AM

Scott--It's all good, work sometimes happens. Just so you know I am looking forward to playing your game. The last time we played I was in sort of a funk that really isn't your fault.

All--Since we aren't having a game tonight I think that I'm going to head home and take care of some work that I need to get done. I'll see you guys next week.

Published by Jeremy on 11/27/2006 06:29:00 AM

What comes next are records of crystals, not part of the piece
+++
Entry P
{"formula": "CaPdAu2", "functional": "PBE", "state": "optimized geometry", "volume_a3_per_cell": 89.9, "lattice_angstrom": [[-1.922, 2.017, 5.795], [1.922, -2.017, 5.795], [1.922, 2.017, -5.795]], "species": ["Ca", "Pd", "Au", "Au"], "frac_coords": [[0.000, 0.000, 0.000], [0.500, 0.500, 0.000], [0.270, 0.270, 0.000], [0.730, 0.730, 0.000]]}

---

Entry Q
{"formula": "CaPdAu2", "functional": "PBE", "state": "optimized geometry", "volume_a3_per_cell": 79.4, "lattice_angstrom": [[3.711, 0.000, 0.000], [0.000, 3.711, 0.000], [0.000, 0.000, 5.769]], "species": ["Ca", "Pd", "Au", "Au"], "frac_coords": [[0.000, 0.000, 0.000], [0.000, 0.000, 0.500], [0.500, 0.500, 0.260], [0.500, 0.500, 0.740]]}

---

Top of the stability list: entry Q, leading by 0.263 eV/atom.

---

Entry P
{"formula": "CaPdAu2", "functional": "PBE", "state": "optimized geometry", "volume_a3_per_cell": 543.8, "lattice_angstrom": [[10.035, 0.000, 0.000], [0.000, 10.035, 0.000], [0.000, 0.000, 5.401]], "species": ["Ca", "Ca", "Ca", "Ca", "Pd", "Pd", "Pd", "Pd", "Au", "Au", "Au", "Au", "Au", "Au", "Au", "Au"], "frac_coords": [[0.250, 0.000, 0.124], [0.250, 0.500, 0.374], [0.750, 0.000, 0.876], [0.750, 0.500, 0.626], [0.250, 0.000, 0.624], [0.250, 0.500, 0.874], [0.750, 0.000, 0.376], [0.750, 0.500, 0.126], [0.000, 0.000, 0.500], [0.000, 0.500, 0.000], [0.250, 0.250, 0.750], [0.250, 0.750, 0.750], [0.500, 0.000, 0.500], [0.500, 0.500, 0.000], [0.750, 0.250, 0.250], [0.750, 0.750, 0.250]]}

---

Entry Q
{"formula": "CaPdAu2", "functional": "PBE", "state": "optimized geometry", "volume_a3_per_cell": 246.2, "lattice_angstrom": [[2.776, 1.603, 9.225], [-2.776, 1.603, 9.225], [0.000, -3.205, 9.225]], "species": ["Ca", "Ca", "Ca", "Pd", "Pd", "Pd", "Au", "Au", "Au", "Au", "Au", "Au"], "frac_coords": [[0.000, 0.000, 0.000], [0.142, 0.142, 0.142], [0.858, 0.858, 0.858], [0.333, 0.333, 0.333], [0.500, 0.500, 0.500], [0.667, 0.667, 0.667], [0.082, 0.585, 0.586], [0.414, 0.415, 0.918], [0.414, 0.919, 0.414], [0.586, 0.082, 0.586], [0.586, 0.586, 0.082], [0.919, 0.414, 0.415]]}

---

Top of the stability list: entry Q, leading by 0.612 eV/atom.

---

Entry P
{"formula": "CaPd3Au", "functional": "PBE", "state": "optimized geometry", "volume_a3_per_cell": 113.4, "lattice_angstrom": [[4.840, 0.000, 0.000], [0.000, 4.840, 0.000], [0.000, 0.000, 4.840]], "species": ["Ca", "Pd", "Pd", "Pd", "Au"], "frac_coords": [[0.000, 0.000, 0.000], [0.000, 0.000, 0.500], [0.000, 0.500, 0.000], [0.500, 0.000, 0.000], [0.500, 0.500, 0.500]]}

---

Entry Q
{"formula": "CaPd3Au", "functional": "PBE", "state": "optimized geometry", "volume_a3_per_cell": 125.6, "lattice_angstrom": [[5.008, 0.000, 0.000], [0.000, 5.008, 0.000], [0.000, 0.000, 5.008]], "species": ["Ca", "Pd", "Pd", "Pd", "Au"], "frac_coords": [[0.000, 0.000, 0.000], [0.000, 0.500, 0.500], [0.500, 0.000, 0.500], [0.500, 0.500, 0.000], [0.500, 0.500, 0.500]]}

---

Top of the stability list: entry Q, leading by 0.490 eV/atom.

---

Entry P
+++
Here the piece continues

We could hit some place for dinner?

Published by Bubbles on 11/27/2006 01:59:00 AM

Hmm well does that mean that we wont be getting together then? Or are we still gonna do something.

**Here the page breaks off for crystal structures**
No. 1
A plane-wave DFT calculation with PBE-GGA was carried out for crystalline Ca2Pm3Hg3 at its relaxed geometry.

Output
Calculated volume ... 30.38 A^3/atom
Total energy ... -2.718 eV per atom
ΔE_f ... -0.323 eV/atom
Density ... 7.632 g cm⁻³

Structure (POSCAR):
```
Ca2Pm3Hg3
1.0
3.798 0.000 0.000
0.000 5.514 0.000
-1.899 -2.757 11.605
Pm Hg Ca
3 3 2
direct
0.500 0.000 0.000
0.615 0.615 0.231
0.385 0.385 0.769
0.000 0.500 0.000
0.114 0.114 0.229
0.886 0.886 0.771
0.724 0.224 0.449
0.276 0.776 0.551
```


No. 2
A plane-wave DFT calculation with PBE-GGA was carried out for crystalline CaPm5Hg6 at its relaxed geometry.

Output
Calculated volume ... 27.60 A^3/atom
Total energy ... -2.791 eV per atom
ΔE_f ... -0.494 eV/atom
Density ... 9.871 g cm⁻³

Structure (POSCAR):
```
CaPm5Hg6
1.0
5.102 -0.030 1.700
0.041 7.644 0.014
0.004 -0.015 8.493
Hg Pm Ca
6 5 1
direct
0.500 0.749 0.000
0.167 0.248 0.666
0.500 0.251 0.000
0.167 0.752 0.666
0.833 0.752 0.334
0.833 0.248 0.334
0.000 0.500 0.000
0.336 0.000 0.328
0.664 0.000 0.672
0.667 0.500 0.665
0.333 0.500 0.335
0.000 0.000 0.000
```


No. 3
A plane-wave DFT calculation with PBE-GGA was carried out for crystalline CaPm3Hg2 at its relaxed geometry.

Output
Energy above the most stable polymorph in this dataset ... 214 meV per atom
Calculated volume ... 34.74 A^3/atom
Total energy ... -2.946 eV per atom
ΔE_f ... -0.137 eV/atom
Density ... 6.981 g cm⁻³

Structure (POSCAR):
```
CaPm3Hg2
1.0
-7.053 1.656 -0.393
-1.646 -7.364 -1.487
3.633 1.537 8.259
Pm Ca Hg
6 2 4
direct
0.500 0.250 0.000
0.500 0.750 0.000
0.232 0.482 0.464
0.768 0.018 0.536
0.232 0.982 0.464
0.768 0.518 0.536
0.000 0.500 0.000
0.000 0.000 0.000
0.561 0.361 0.722
0.439 0.639 0.278
0.839 0.139 0.278
0.161 0.861 0.722
```


No. 4
A plane-wave DFT calculation with PBE-GGA was carried out for crystalline Ca2PmHg2 at its relaxed geometry.

Output
Calculated volume ... 31.10 A^3/atom
Total energy ... -2.257 eV per atom
ΔE_f ... -0.385 eV/atom
Density ... 6.689 g cm⁻³

Structure (POSCAR):
```
Ca2PmHg2
1.0
3.706 0.000 0.000
0.000 3.752 0.711
0.000 -0.169 11.149
Pm Hg Ca
1 2 2
direct
0.000 0.000 0.000
0.500 0.589 0.821
0.500 0.411 0.179
0.000 0.828 0.345
0.000 0.172 0.655
```

----------

First-principles (PBE) data for a relaxed Pu3BiAs2Pd9 crystal, as listed in Alexandria.

Calculated volume   351 Å³/cell
N(E_F)   56.9 states/eV/f.u.
Final energy   -7.132 eV per atom
Total magnetic moment   16.32 μB/f.u.
Formation enthalpy at 0 K   -6.26 kcal/mol of atoms

Unit cell a=6.5745 b=6.5745 c=9.3658 alpha=90.00 beta=90.00 gamma=120.00
Space group P-3m1 (No. 164)
Unique sites:
Pu  0.0000  0.0000  0.0000 [1 per cell]
Pu  0.3333  0.6667  0.7405 [2 per cell]
Bi  0.0000  0.0000  0.5000 [1 per cell]
As  0.3333  0.6667  0.1730 [2 per cell]
Pd  0.0000  0.5000  0.0000 [3 per cell]
Pd  0.1408  0.2816  0.2646 [6 per cell]

----------

<i>
Dy2ScTl after structural relaxation, computed with PBE.

Cell: 3.5081 3.5081 10.9053 Å, 80.74 80.74 60.00°

Published by Dunesmuggler on 11/26/2006 06:32:00 PM

Hey guys,

I'm not going to be able to make it tomorrow night. I just found out I have to work it, which isn't /too/ bad since I need to buy a new car. Sorry for any inconvenience, but we really haven't been doing much with the game anyway.

Talk to you guys later.


Published by John on 11/25/2006 09:24:00 PM

I hope you guys had a great Thanksgiving. I know that I did, ate way too much turkey.

Published by John on 11/21/2006 10:45:00 AM

Just wanted to thank Jeremy for all of the good food last night. I know that it took some effort on your part to cook for our lazy asses and I really appreciate it. The films were pretty damn cool as well. I had forgotten how much I enjoy both Time Bandits and Baron Munchausen. I think a good time was had by all.

Scott--I'm looking forward to next weeks game. I promise I will be there. I had a couple of crazy weeks in a row. I also know that Dustin is planning on being there as well. He may even be bringing a new gamer!

See you guys later.

Published by Jeremy on 11/20/2006 01:31:00 AM

If you would all like to shuffle in tomorrow, I'm allowing you bums into my home as early as 4PM. I took the day off, so I don't have to worry about sleeping in late.

Published by John on 11/18/2006 01:26:00 AM

Jeremy--Nah I didn't hang onto anything when I moved into my new position. In fact I don't think that I've ever even ordered any of those.

Cthulu puppet + You Tube = Some pretty funny shit!

Published by Jeremy on 11/17/2006 09:39:00 PM

Hey John - Do you happen to have any of the replacement rubber dot-feet for the bottom of the powerbooks in your office somewhere?

They sell 'em online. I was gonna' buy a few. Figured I'd ask first. I know you work on 'em, so I figure it's worth a shot asking... maybe you've got one of those factory-sheets with a few dozen of 'em still stuck to it. :)

Published by Bubbles on 11/17/2006 12:57:00 AM

That was fucking great, haha.

Published by John on 11/16/2006 04:25:00 PM

Check this out.


Published by Jeremy on 11/16/2006 09:12:00 AM

Yeah, we're still on for Monday.

I've got the actual food food pretty well covered, I think, but we could always use drinks. You're just getting water or a few flavors of Crystal Light from me.

Chips, side dishes, whatever you want. I haven't gone shopping yet (saving it for one of my days off...) but I'm probably going with chicken wings or leg quarters depending on what I can find, corndogage, and some sort of baked potato thing that would be suitable for those who don't feast on the flesh of dead animals. Jason may decide to show up.

Published by John on 11/16/2006 08:53:00 AM

Okay a few things.

1. Sorry about Monday night. I had picked up my beagle from the Vet and taken him home. He had one of those collars on him (he had 4 tumors removed!) and when my wife saw him she freaked out. She went from "Don't you dare leave me here alone with a sick dog" to "Go away and leave me alone". When push came to shove I decided to stay and take care of it. One of those "husband" things that you have to do sometimes.

2. Speaking of Monday what did I miss? I know that I was a bit grouchy at the last game, but I was actually looking forward to playing. I hope you guys did okay without your super cool healer chick who flees in an honorable goblin fashion at the first sign of danger! :)

3. I broke down and purchased one of those Nintendo Gameboy DS thingys last night. It is super cool. That means I have a Gameboy Advanced for sale. It is one of the nice silver ones with the good backlight. I've kept it really nice, almost like new. Let me know if anyone is interested and we can talk price. I guarantee you I will be cheaper than the game store.

4. We are still on for next weeks movie night right? I've been really looking forward to it. Jeremy what can I bring in addition to money for the food? Do we need soda, chips or something like that?

Later guys. I promise I will be at movie night next week.

Published by John on 11/13/2006 02:45:00 PM

Hey guys I have to pick up my dog from the vet tonight. I will be at the game, but it will be closer to 6pm than my normal arrival time. See you then.

Published by John on 11/13/2006 11:27:00 AM

I don't understand you will play the gay game, but when alternative lifestyle stormtrooper comes around you push him away..... Bwahahahahahahahahahaha...... :P

Published by Bubbles on 11/13/2006 03:27:00 AM

I don't give a god damn! That game is fun as hell.

Published by John on 11/13/2006 12:08:00 AM

Okay seriously Bubbles I watched people play that game at the Best Buy in Canton. You seriously can't look hetro while playing a little plastic guitar in front of a television. :P

Published by Bubbles on 11/12/2006 12:00:00 AM


Published by John on 11/10/2006 03:40:00 PM

Bubbles -- That game is super gay!!!!!!

Farve -- Figured out how to change the font size and color eh? If we decide to do another Baglecon it will be sometime early in 07.

Published by dave on 11/10/2006 02:37:00 AM

i hate o h i o . now that i got that off my chest i feel better . sorry being on house arrest
s u c k alot . if u do baglecon can we do it after the 30 of nov. so i can come plz.
bubs } we hav one set up at the walmart where i work . its so koool . iplay it on luch all the time !!!

Published by Bubbles on 11/07/2006 12:59:00 PM

GUITAR HERO 2 OUT TODAY! Now only if my ps2 worked :(

Published by John on 11/07/2006 10:08:00 AM

Jeremy I forgot to tell you that Richard finished our Baglecon logo. This is a 3d logo so he can customize to to whatever we would need. Speaking of Baglecon I'm thinking that we need to start organizing and begging for free swag again if we want to have another event.

Published by John on 11/07/2006 09:00:00 AM

Yeah well I actually had two reasons to go to the vet. First Wolfgang has a couple of tumors that they are going to remove and biopsy. The second is that I had to take our new puppy in for her first checkup. Yes we bought a new dog :(

Jennifer wanted to get a lapdog, so now I have this little 2 pound 6 ounce bundle of joy to deal with........

Published by Jeremy on 11/06/2006 05:28:00 PM

John - Yer' dogs having problems again?

The new schedule was made a few days ago, so had to put in my request already if I wanted to get those days off. So I work seven straight, then I get off the 19th and 20th.

The 20th is a go for Gilliam, cause I'm watching it and eatin' wings whether the rest of you assmonkey puppets show up or not. ;)

Published by John on 11/06/2006 03:11:00 PM

I've got to take one of my dogs to the vet tonight. Sorry for the late notice.

Jeremy--I realized that I really want to have a Terry Gilliam film night. So to hell with Dustin, let's plan the shindig. If he shows he shows. Also let me know what I can bring or how much I need to pony up to have it "catered" :)

Later guys, and sorry about tonight.

Published by John on 11/02/2006 03:30:00 PM

So I've been having fun posting to another blog that I've started. I review the horror films that I've been watching. Thought that I would link the other blog here. Take a look and let me know what you think.

